## Wanted
Repeat all of the lines further down verbatim.

## File
........
# 1
Starting from the PBE+U geometry in the Materials Project, the powder X-ray diffraction pattern of Li4VCr3O8 was calculated for Cu Kα X-rays.

Principal peaks in the range 15 to 90 degrees two-theta, sorted by position:
2θ 18.27, I 100; 2θ 35.24, I 14; 2θ 35.39, I 27; 2θ 36.97, I 11; 2θ 42.84, I 28; 2θ 43.04, I 55; 2θ 47.06, I 12; 2θ 62.28, I 15; 2θ 62.42, I 14; 2θ 62.51, I 15

Cell and atoms:
a b c (Å): 5.157 5.962 10.717
angles (deg): 105.90 94.61 107.03
Sites, in units of the cell vectors:
Li 0.000 0.000 0.000
Li 0.000 0.124 0.749
Li 0.000 0.250 0.499
Li 0.000 0.500 0.000
Li 0.000 0.750 0.501
Li 0.000 0.876 0.251
Li 0.003 0.377 0.251
Li 0.997 0.623 0.749
V 0.500 0.061 0.876
V 0.500 0.939 0.124
Cr 0.499 0.559 0.874
Cr 0.500 0.186 0.625
Cr 0.500 0.314 0.375
Cr 0.500 0.686 0.625
Cr 0.500 0.814 0.375
Cr 0.501 0.441 0.126
O 0.270 0.783 0.938
O 0.273 0.290 0.941
O 0.274 0.168 0.190
O 0.275 0.411 0.689
O 0.275 0.911 0.689
O 0.276 0.038 0.439
O 0.276 0.539 0.440
O 0.276 0.665 0.190
O 0.724 0.335 0.810
O 0.724 0.461 0.560
O 0.724 0.962 0.561
O 0.725 0.089 0.311
O 0.725 0.589 0.311
O 0.726 0.832 0.810
O 0.727 0.710 0.059
O 0.730 0.217 0.062


# 2
Starting from the PBE+U geometry in the Materials Project, the powder X-ray diffraction pattern of Li2FeNiO4 was calculated for Cu Kα X-rays.

Principal peaks in the range 15 to 90 degrees two-theta, sorted by position:
2θ 18.68, I 100; 2θ 36.15, I 44; 2θ 37.82, I 15; 2θ 43.97, I 75; 2θ 48.16, I 15; 2θ 58.24, I 16; 2θ 63.85, I 13; 2θ 63.98, I 27; 2θ 67.16, I 10; 2θ 80.85, I 6

Cell and atoms:
a b c (Å): 5.039 2.911 5.053
angles (deg): 90.00 109.53 90.00
Sites, in units of the cell vectors:
Li 0.000 0.000 0.000
Li 0.000 0.500 0.500
Fe 0.500 0.000 0.500
Ni 0.500 0.500 0.000
O 0.272 0.500 0.275
O 0.278 0.000 0.734
O 0.722 0.000 0.266
O 0.728 0.500 0.725


# 3
Starting from the PBE+U geometry in the Materials Project, the powder X-ray diffraction pattern of Rb4MgFe4O8 was calculated for Cu Kα X-rays.

Principal peaks in the range 15 to 90 degrees two-theta, sorted by position:
2θ 25.89, I 17; 2θ 28.01, I 36; 2θ 28.17, I 47; 2θ 31.32, I 44; 2θ 31.44, I 100; 2θ 31.78, I 14; 2θ 32.53, I 42; 2θ 40.94, I 20; 2θ 50.26, I 13; 2θ 53.02, I 16

Cell and atoms:
a b c (Å): 5.845 5.848 8.824
angles (deg): 91.09 91.59 103.15
Sites, in units of the cell vectors:
Rb 0.000 0.000 0.000
Rb 0.002 0.536 0.690
Rb 0.427 0.077 0.285
Rb 0.484 0.600 0.488
Mg 0.695 0.362 0.989
Fe 0.399 0.665 0.990
Fe 0.445 0.138 0.740
Fe 0.933 0.528 0.244
Fe 0.941 0.041 0.493
O 0.035 0.750 0.398
O 0.052 0.529 0.030
O 0.127 0.057 0.690
O 0.520 0.016 0.945
O 0.530 0.469 0.817
O 0.612 0.535 0.164
O 0.636 0.101 0.579
O 0.948 0.227 0.302


# 4
Starting from the PBE+U geometry in the Materials Project, the powder X-ray diffraction pattern of KNiBr3O6 was calculated for Cu Kα X-rays.

Principal peaks in the range 15 to 90 degrees two-theta, sorted by position:
2θ 17.44, I 100; 2θ 26.41, I 35; 2θ 29.05, I 32; 2θ 29.64, I 51; 2θ 30.49, I 29; 2θ 30.85, I 38; 2θ 31.99, I 28; 2θ 36.40, I 24; 2θ 36.83, I 20; 2θ 37.01, I 20

Cell and atoms:
a b c (Å): 6.399 6.399 12.172
angles (deg): 104.72 104.72 66.91
Sites, in units of the cell vectors:
K 0.053 0.947 0.750
K 0.947 0.053 0.250
Ni 0.000 0.500 0.000
Ni 0.500 0.000 0.500
Br 0.000 0.500 0.500
Br 0.254 0.392 0.253
Br 0.392 0.254 0.753
Br 0.500 0.000 0.000
Br 0.608 0.746 0.247
Br 0.746 0.608 0.747
O 0.028 0.369 0.138
O 0.161 0.651 0.343
O 0.209 0.213 0.935
O 0.213 0.209 0.435
O 0.349 0.839 0.157
O 0.369 0.028 0.638
O 0.631 0.972 0.362
O 0.651 0.161 0.843
O 0.787 0.791 0.565
O 0.791 0.787 0.065
O 0.839 0.349 0.657
O 0.972 0.631 0.862


The following is a computed powder X-ray diffraction pattern of Ho6Hg6Pb. It was derived from a PBE-relaxed structure, using copper Kα.

The 10 most intense peaks (2θ from 10° to 80°), by intensity:
2θ (°)	d (Å)	Rel. int.	index
37.47	2.400	100	2 0 2
33.46	2.678	66	1 1 2
33.09	2.708	60	2 0 0
34.57	2.595	35	0 0 4
59.10	1.563	33	2 2 0
70.31	1.339	27	2 2 4
........

## Here it is
# 1
Starting from the PBE+U geometry in the Materials Project, the powder X-ray diffraction pattern of Li4VCr3O8 was calculated for Cu Kα X-rays.

Principal peaks in the range 15 to 90 degrees two-theta, sorted by position:
2θ 18.27, I 100; 2θ 35.24, I 14; 2θ 35.39, I 27; 2θ 36.97, I 11; 2θ 42.84, I 28; 2θ 43.04, I 55; 2θ 47.06, I 12; 2θ 62.28, I 15; 2θ 62.42, I 14; 2θ 62.51, I 15

Cell and atoms:
a b c (Å): 5.157 5.962 10.717
angles (deg): 105.90 94.61 107.03
Sites, in units of the cell vectors:
Li 0.000 0.000 0.000
Li 0.000 0.124 0.749
Li 0.000 0.250 0.499
Li 0.000 0.500 0.000
Li 0.000 0.750 0.501
Li 0.000 0.876 0.251
Li 0.003 0.377 0.251
Li 0.997 0.623 0.749
V 0.500 0.061 0.876
V 0.500 0.939 0.124
Cr 0.499 0.559 0.874
Cr 0.500 0.186 0.625
Cr 0.500 0.314 0.375
Cr 0.500 0.686 0.625
Cr 0.500 0.814 0.375
Cr 0.501 0.441 0.126
O 0.270 0.783 0.938
O 0.273 0.290 0.941
O 0.274 0.168 0.190
O 0.275 0.411 0.689
O 0.275 0.911 0.689
O 0.276 0.038 0.439
O 0.276 0.539 0.440
O 0.276 0.665 0.190
O 0.724 0.335 0.810
O 0.724 0.461 0.560
O 0.724 0.962 0.561
O 0.725 0.089 0.311
O 0.725 0.589 0.311
O 0.726 0.832 0.810
O 0.727 0.710 0.059
O 0.730 0.217 0.062


# 2
Starting from the PBE+U geometry in the Materials Project, the powder X-ray diffraction pattern of Li2FeNiO4 was calculated for Cu Kα X-rays.

Principal peaks in the range 15 to 90 degrees two-theta, sorted by position:
2θ 18.68, I 100; 2θ 36.15, I 44; 2θ 37.82, I 15; 2θ 43.97, I 75; 2θ 48.16, I 15; 2θ 58.24, I 16; 2θ 63.85, I 13; 2θ 63.98, I 27; 2θ 67.16, I 10; 2θ 80.85, I 6

Cell and atoms:
a b c (Å): 5.039 2.911 5.053
angles (deg): 90.00 109.53 90.00
Sites, in units of the cell vectors:
Li 0.000 0.000 0.000
Li 0.000 0.500 0.500
Fe 0.500 0.000 0.500
Ni 0.500 0.500 0.000
O 0.272 0.500 0.275
O 0.278 0.000 0.734
O 0.722 0.000 0.266
O 0.728 0.500 0.725


# 3
Starting from the PBE+U geometry in the Materials Project, the powder X-ray diffraction pattern of Rb4MgFe4O8 was calculated for Cu Kα X-rays.

Principal peaks in the range 15 to 90 degrees two-theta, sorted by position:
2θ 25.89, I 17; 2θ 28.01, I 36; 2θ 28.17, I 47; 2θ 31.32, I 44; 2θ 31.44, I 100; 2θ 31.78, I 14; 2θ 32.53, I 42; 2θ 40.94, I 20; 2θ 50.26, I 13; 2θ 53.02, I 16

Cell and atoms:
a b c (Å): 5.845 5.848 8.824
angles (deg): 91.09 91.59 103.15
Sites, in units of the cell vectors:
Rb 0.000 0.000 0.000
Rb 0.002 0.536 0.690
Rb 0.427 0.077 0.285
Rb 0.484 0.600 0.488
Mg 0.695 0.362 0.989
Fe 0.399 0.665 0.990
Fe 0.445 0.138 0.740
Fe 0.933 0.528 0.244
Fe 0.941 0.041 0.493
O 0.035 0.750 0.398
O 0.052 0.529 0.030
O 0.127 0.057 0.690
O 0.520 0.016 0.945
O 0.530 0.469 0.817
O 0.612 0.535 0.164
O 0.636 0.101 0.579
O 0.948 0.227 0.302


# 4
Starting from the PBE+U geometry in the Materials Project, the powder X-ray diffraction pattern of KNiBr3O6 was calculated for Cu Kα X-rays.

Principal peaks in the range 15 to 90 degrees two-theta, sorted by position:
2θ 17.44, I 100; 2θ 26.41, I 35; 2θ 29.05, I 32; 2θ 29.64, I 51; 2θ 30.49, I 29; 2θ 30.85, I 38; 2θ 31.99, I 28; 2θ 36.40, I 24; 2θ 36.83, I 20; 2θ 37.01, I 20

Cell and atoms:
a b c (Å): 6.399 6.399 12.172
angles (deg): 104.72 104.72 66.91
Sites, in units of the cell vectors:
K 0.053 0.947 0.750
K 0.947 0.053 0.250
Ni 0.000 0.500 0.000
Ni 0.500 0.000 0.500
Br 0.000 0.500 0.500
Br 0.254 0.392 0.253
Br 0.392 0.254 0.753
Br 0.500 0.000 0.000
Br 0.608 0.746 0.247
Br 0.746 0.608 0.747
O 0.028 0.369 0.138
O 0.161 0.651 0.343
O 0.209 0.213 0.935
O 0.213 0.209 0.435
O 0.349 0.839 0.157
O 0.369 0.028 0.638
O 0.631 0.972 0.362
O 0.651 0.161 0.843
O 0.787 0.791 0.565
O 0.791 0.787 0.065
O 0.839 0.349 0.657
O 0.972 0.631 0.862


The following is a computed powder X-ray diffraction pattern of Ho6Hg6Pb. It was derived from a PBE-relaxed structure, using copper Kα.

The 10 most intense peaks (2θ from 10° to 80°), by intensity:
2θ (°)	d (Å)	Rel. int.	index
37.47	2.400	100	2 0 2
33.46	2.678	66	1 1 2
33.09	2.708	60	2 0 0
34.57	2.595	35	0 0 4
59.10	1.563	33	2 2 0
70.31	1.339	27	2 2 4